Wanted:
Search the material below for the word "by" and write out each line that has it.
Contents:
-- begin --
# 1
Calculated XRD peak list
Compound: CeSmI5
Radiation: copper Kα
Structure: a crystal structure in Alexandria, relaxed with PBE
Kinematic intensities with the Lorentz-polarization factor, no thermal factor.

Top 6 peaks for 10 to 80 degrees two-theta, by angle:
10.78°, 8.203 Å, I 100, (1 0 -1); 26.03°, 3.423 Å, I 49, (1 1 2); 28.18°, 3.167 Å, I 40, (2 1 0); 28.52°, 3.129 Å, I 61, (1 1 -3); 29.84°, 2.994 Å, I 46, (0 0 5); 41.90°, 2.156 Å, I 35, (0 2 0)

```
data_CeSmI5
_space_group_name_H-M_alt 'P 1 21/m 1'
_space_group_IT_number 11
_space_group_name_Hall '-P 2yb'
_cell_length_a 9.3566
_cell_length_b 4.3126
_cell_length_c 14.9941
_cell_angle_alpha 90.00
_cell_angle_beta 94.42
_cell_angle_gamma 90.00
loop_
_atom_site_label
_atom_site_type_symbol
_atom_site_fract_x
_atom_site_fract_y
_atom_site_fract_z
Ce1 Ce 0.0984 0.2500 0.1497
Sm1 Sm 0.4146 0.7500 0.3443
I1 I 0.0702 0.7500 0.3105
I2 I 0.1419 0.2500 0.9290
I3 I 0.3213 0.2500 0.4842
I4 I 0.3518 0.7500 0.1303
I5 I 0.3673 0.7500 0.7106
```

# 2
Calculated XRD peak list
Compound: Pu2MgGe
Radiation: copper Kα
Structure: a crystal structure in Alexandria, relaxed with PBE
Kinematic intensities with the Lorentz-polarization factor, no thermal factor.

Top 6 peaks for 10 to 80 degrees two-theta, by angle:
18.97°, 4.678 Å, I 45, (0 0 1); 28.90°, 3.089 Å, I 33, (1 1 0); 34.80°, 2.578 Å, I 100, (1 1 1); 41.33°, 2.185 Å, I 31, (2 0 0); 57.75°, 1.596 Å, I 24, (2 0 2); 71.15°, 1.325 Å, I 26, (3 1 1)

```
data_Pu2MgGe
_space_group_name_H-M_alt 'P 4/m m m'
_space_group_IT_number 123
_space_group_name_Hall '-P 4 2'
_cell_length_a 4.3692
_cell_length_b 4.3692
_cell_length_c 4.6777
_cell_angle_alpha 90.00
_cell_angle_beta 90.00
_cell_angle_gamma 90.00
loop_
_atom_site_label
_atom_site_type_symbol
_atom_site_fract_x
_atom_site_fract_y
_atom_site_fract_z
Pu1 Pu 0.0000 0.5000 0.0000
Mg1 Mg 0.0000 0.0000 0.5000
Ge1 Ge 0.5000 0.5000 0.5000
```

# 3
Calculated XRD peak list
Compound: La12Nd7Sc
Radiation: copper Kα
Structure: a crystal structure in Alexandria, relaxed with PBE
Kinematic intensities with the Lorentz-polarization factor, no thermal factor.

Top 6 peaks for 10 to 80 degrees two-theta, by angle:
27.17°, 3.283 Å, I 28, (3 3 0); 29.64°, 3.014 Å, I 100, (0 5 1); 32.36°, 2.766 Å, I 21, (5 1 1); 32.79°, 2.731 Å, I 22, (5 2 0); 38.45°, 2.341 Å, I 20, (5 0 2); 39.55°, 2.279 Å, I 19, (7 0 1)

```
data_La12Nd7Sc
_space_group_name_H-M_alt 'R -3 m'
_space_group_IT_number 166
_space_group_name_Hall '-R 3 2"'
_cell_length_a 19.6957
_cell_length_b 19.6957
_cell_length_c 6.4380
_cell_angle_alpha 90.00
_cell_angle_beta 90.00
_cell_angle_gamma 120.00
loop_
_atom_site_label
_atom_site_type_symbol
_atom_site_fract_x
_atom_site_fract_y
_atom_site_fract_z
La1 La 0.0000 0.4074 0.0000
La2 La 0.0968 0.5484 0.4830
Nd1 Nd 0.0000 0.0000 0.0000
Nd2 Nd 0.0829 0.1658 0.3059
Sc1 Sc 0.0000 0.0000 0.5000
```

What did the second record say?
Calculated XRD peak list
Compound: Pu2MgGe
Radiation: copper Kα
Structure: a crystal structure in Alexandria, relaxed with PBE
Kinematic intensities with the Lorentz-polarization factor, no thermal factor.

Top 6 peaks for 10 to 80 degrees two-theta, by angle:
18.97°, 4.678 Å, I 45, (0 0 1); 28.90°, 3.089 Å, I 33, (1 1 0); 34.80°, 2.578 Å, I 100, (1 1 1); 41.33°, 2.185 Å, I 31, (2 0 0); 57.75°, 1.596 Å, I 24, (2 0 2); 71.15°, 1.325 Å, I 26, (3 1 1)

```
data_Pu2MgGe
_space_group_name_H-M_alt 'P 4/m m m'
_space_group_IT_number 123
_space_group_name_Hall '-P 4 2'
_cell_length_a 4.3692
_cell_length_b 4.3692
_cell_length_c 4.6777
_cell_angle_alpha 90.00
_cell_angle_beta 90.00
_cell_angle_gamma 90.00
loop_
_atom_site_label
_atom_site_type_symbol
_atom_site_fract_x
_atom_site_fract_y
_atom_site_fract_z
Pu1 Pu 0.0000 0.5000 0.0000
Mg1 Mg 0.0000 0.0000 0.5000
Ge1 Ge 0.5000 0.5000 0.5000
```

----------

For MnOF2, a GGA+U-relaxed structure gives the computed powder diffraction line list in this record (Cu Ka).
-- stop --
Written answer:
Top 6 peaks for 10 to 80 degrees two-theta, by angle:
Top 6 peaks for 10 to 80 degrees two-theta, by angle:
Top 6 peaks for 10 to 80 degrees two-theta, by angle:
Top 6 peaks for 10 to 80 degrees two-theta, by angle: